Margie Moczygemba, PhD

Associate Professor
Director, HT Flow Cytometry Analysis & Cell Sorting Core Facility
Advisor to the Dean for Internal Affairs – School of Engineering Medicine
TMC3-Texas A&M Health
7255 Helix Park Ave. Room 2009
Phone: 713.677.8114
Hight Throughput Flow Cytometry Analysis and Cell Sorting
- IBT Associate Director for Academic Affairs
Education and Training
- B.S. Biology, Texas A&M University, Kingsville, TX, 1989
- M.S. Biology, Texas A&M University, Kingsville, Texas, 1992
- Ph.D., Molecular Immunology and Pathology, State University of New York at Stony Brook, Stony Brook, N.Y., 1997
- Postdoctoral Fellowship, Baylor College of Medicine, Houston, Texas, 1997-2002
Research Interests
The research focus of the Moczygemba laboratory is to develop interventional strategies that block allergic inflammation through our increased understanding of cytokine signaling and eosinophil biology. The eosinophil and its major activator, IL-5, play an important role in the pathogenesis of allergies and asthma. Thus, one of our goals is to understand regulatory mechanisms that control the intensity and duration of IL-5-mediated eosinophilic signaling. To this end, we employ various cellular, immunological, and biochemical techniques to help us identify novel targets capable of modulating inflammatory signals triggered by eosinophils.
One area of deep interest in our lab is the molecular characterization of IL-5 receptor ubiquitination especially that associated with the common beta chain (betaC). Previously we demonstrated that the betaC cytoplasmic tail was ubiquitinated and degraded by proteasomes after IL-5 stimulation. We have since identified a cluster of three membrane-proximal lysine residues (K457, K461, and K467) on betaC that are required for JAK1 and JAK2 binding, and betaC ubiquitination. Importantly, we found that in the absence of these three lysine residues, bc ubiquitination, endocytosis and signaling were significantly impaired, indicating that JAK binding to bc is an essential step in IL-5 receptor regulation.
In a related project associated with allergic inflammation, we are collaborating with our colleagues from MD Anderson Cancer Center in Houston. The major focus of this project is to harness the activation of lung innate immunity using aerosolized TLR Ligands to modulate the asthmatic immune response. Recent findings indicate that administration of aerosolized antigen with a specific combination of TLR ligands has a major effect on the immunomodulation of the allergic IgE response and eosinophilic inflammation in a murine model of experimental asthma. Insight into these immunomodulatory mechanisms could potentially identify novel targets for controlling inflammation associated with asthma.
Selected Publications
- Amini-Vaughan, Z., Martinez-Moczygemba, M., Huston, DP. Therapeutic strategies for harnessing human eosinophils in allergic inflammation, hypereosinophilic disorders, and cancer. Curr Allergy Asthma Rep, 12(5):402-412, 2012 PMID:22875242
- Lei JT, Mazumdar, TM, M Martinez-Moczygemba: Three lysine residues in the common beta chain of the IL-5 receptor are required for Janus kinase-dependent receptor ubiquitination, endocytosis and signaling. J Biol Chem. 2011 Sep 30. (Epub ahead of print).
- Lee, M-S., Cherla, R.P., Jenson, M.H., Leyve-Illades, D., Martinez-Moczygemba, M., and Tesh, V.L: Shiga toxins induce autophagy leading to differential signaling pathways in the toxin-sensitive and toxin-resistant human cells. Cell Microbiol 13(10):1479-1496, 2011. PMID:21722286.
- Martinez-Moczygemba, M, Doan, ML, Elidemir, O, Fan, LL, Cheung, SW, Lei, JT, Moore, JP, Tavana, G, Lewis, LR, Zhu, Y, Muzny, DM, Gibbs, RA, Huston, DP. 2008. "Pulmonary Alveolar Proteinosis Due to Deletion of the GM-CSFR? Gene in the X-Chromosome Pseudoautosomal Region 1." J Exp Med, 205(12):2711-6. Epub Oct 27, 2008
- Lei, JT, Martinez-Moczygemba M. 2008. "Separate endocytic pathways regulate IL-5 Receptor Internalization and signaling." J Leukoc Biol 84:499-509.
- Martinez-Moczygemba M, DP Huston, Lei JT. 2007. "JAK kinases control IL-5 receptor ubiquitination, degradation and internalization." J Leukoc Biol 81(4):1137-48.
- Martinez-Moczygemba M, DP Huston. 2003. "Biology of common ? receptor-signaling cytokines: IL-3, IL-5, and GM-CSF." J Allergy Clin Immunol 112(4):653-665.
- Huang JC, M Martinez-Moczygemba, AP Nguyen, DP Huston. 2003. "Modulating the interleukin-5 response in Asthma. In: Therapeutic Targets of Airway Inflammation." Eds. NT Eissa and DP Huston; Marcel-Dekker, Inc., New York, New York. 177:495-518.
- Foster PS, M Martinez-Moczygemba, DP Huston, DB Corry. 2002. "Interleukins 4, 5, and 13: emerging therapeutic targets in allergic disease." Pharmacol Ther 94:253-264.
- Martinez-Moczygemba M, DP Huston. 2001. "Proteasome regulation of ?c signaling reveals a novel mechanism for cytokine receptor heterotypic desensitization." J Clin Invest 108:1797-1806.
- Huston DP, MM Huston, RR Dickason, M Martinez-Moczygemba. 2000. "Interleukin-5, a therapeutic target in allergic inflammation." Trans Am Clin Climatol Assoc 111:46-60.
- Martinez-Moczygemba M, MJ Gutch, DL French, NC Reich. 1997. "Distinct STAT structure promotesinteraction of STAT2 with the p48 subunit of the interferon-a stimulated transcription factor, ISGF3." J Biol Chem 272:20070-20076.
Next to the page, the page also holds crystal structures >
- - -
1.
VASP calculation (PBE with a Hubbard U) on Rb2LiNd2W4O16 after structural relaxation.

abc: 7.925 7.925 7.619
angles: 117.98 117.98 88.62
Sites, in units of the cell vectors:
Rb1 0.000 0.000 0.000
Rb2 0.583 0.417 0.500
Li1 0.287 0.713 0.000
Nd1 0.022 0.978 0.500
Nd2 0.572 0.428 0.000
W1 0.089 0.512 0.541
W2 0.100 0.495 0.049
W3 0.488 0.911 0.459
W4 0.505 0.900 0.951
O1 0.030 0.248 0.439
O2 0.037 0.563 0.797
O3 0.158 0.265 0.885
O4 0.161 0.457 0.310
O5 0.172 0.792 0.277
O6 0.208 0.828 0.723
O7 0.380 0.584 0.789
O8 0.416 0.620 0.211
O9 0.429 0.142 0.617
O10 0.437 0.963 0.203
O11 0.543 0.839 0.690
O12 0.562 0.166 0.059
O13 0.735 0.842 0.115
O14 0.752 0.970 0.561
O15 0.834 0.438 0.941
O16 0.858 0.571 0.383

## Properties
density	6.7	g/cm³
energy relative to the elements	-2.55	eV per atom
energy above the lowest structure with this stoichiometry	0.039	eV per atom

---

2.
VASP calculation (PBE with a Hubbard U) on Rb2LiNd2W4O16 after structural relaxation.

abc: 7.548 7.647 8.122
angles: 88.61 63.97 61.58
Sites, in units of the cell vectors:
Rb1 0.000 0.000 0.000
Rb2 0.495 0.416 0.594
Li1 0.308 0.296 0.270
Nd1 0.518 0.953 0.988
Nd2 0.961 0.462 0.622
W1 0.038 0.893 0.489
W2 0.449 0.532 0.103
W3 0.537 0.903 0.479
W4 0.953 0.509 0.117
O1 0.052 0.446 0.862
O2 0.142 0.259 0.155
O3 0.174 0.592 0.064
O4 0.216 0.570 0.385
O5 0.271 0.844 0.220
O6 0.317 0.827 0.532
O7 0.358 0.163 0.452
O8 0.454 0.971 0.728
O9 0.555 0.252 0.042
O10 0.598 0.615 0.879
O11 0.705 0.458 0.167
O12 0.705 0.812 0.182
O13 0.786 0.612 0.420
O14 0.805 0.960 0.425
O15 0.895 0.823 0.714
O16 0.935 0.162 0.577

## Properties
density	6.7	g/cm³
energy relative to the elements	-2.57	eV per atom
energy above the lowest structure with this stoichiometry	0.023	eV per atom

=====

Record 1
Below is a geometry-optimized Sc2TlC structure, with properties calculated at the r2SCAN level.

abc: 3.371 3.371 15.223
angles: 90.00 90.00 120.00
Fractional positions:
Sc 0.333 0.667 0.080
Sc 0.333 0.667 0.420
Sc 0.667 0.333 0.580
Sc 0.667 0.333 0.920
Tl 0.333 0.667 0.750
Tl 0.667 0.333 0.250
C 0.000 0.000 0.000
C 0.000 0.000 0.500

Output
Symmetry: P6_3/mmc
Formation enthalpy at 0 K, eV/atom: -0.622
Total magnetic moment, μB per formula unit: 0.00



Record 2
Below is a geometry-optimized K2PdF4 structure, with properties calculated at the r2SCAN level.

abc: 5.576 5.576 4.263
angles: 90.92 90.92 64.21
Fractional positions:
K 0.151 0.151 0.220
K 0.849 0.849 0.780
Pd 0.500 0.500 0.500
F 0.153 0.630 0.278
F 0.370 0.847 0.722
F 0.630 0.153 0.278
F 0.847 0.370 0.722

Output
Symmetry: C2/m
Formation enthalpy at 0 K, eV/atom: -2.369
Total magnetic moment, μB per formula unit: 0.00



Record 3
Below is a geometry-optimized Ce2Co3Ge5 structure, with properties calculated at the r2SCAN level.

abc: 8.154 8.154 8.154
angles: 137.78 88.27 106.84
Fractional positions:
Ce 0.133 0.250 0.383
Ce 0.392 0.774 0.117
Ce 0.657 0.274 0.883
Ce 0.867 0.750 0.617
Co 0.008 0.622 0.886
Co 0.260 0.260 0.000
Co 0.260 0.760 0.500
- - -
The page goes on >
- Kotanides H, M Martinez-Moczygemba, MF White, NC Reich. 1995. "Characterization of interleukin-4 nuclear activated factor/STAT and its activation independent of the insulin receptor substrate proteins." J Biol Chem270:19481-19486.